
Gore’s Voting Record: Flip-Flops or Evolution?

-- These materials data were left in the text by mistake --
1.
Material: B13C2
Method: DFT, r²SCAN
State: optimized geometry

Lattice parameters (Å, degrees): 5.184 5.184 5.184 66.03 66.03 66.03
Fractional positions:
B1 0.324 0.008 0.008
B2 0.197 0.197 0.681
B3 0.197 0.681 0.197
B4 0.008 0.324 0.008
B5 0.681 0.197 0.197
B6 0.676 0.992 0.992
B7 0.803 0.803 0.319
B8 0.992 0.676 0.992
B9 0.319 0.803 0.803
B10 0.803 0.319 0.803
B11 0.992 0.992 0.676
B12 0.500 0.500 0.500
B13 0.008 0.008 0.324
C1 0.619 0.619 0.619
C2 0.381 0.381 0.381

Output
Formation energy in meV per atom: -95
SG: R-3m (166)

2.
Material: GdAlO3
Method: DFT, r²SCAN
State: optimized geometry

Lattice parameters (Å, degrees): 5.243 5.305 7.446 90.00 90.00 90.00
Fractional positions:
O1 0.715 0.286 0.039
O2 0.927 0.515 0.750
O3 0.573 0.015 0.750
O4 0.285 0.714 0.961
O5 0.427 0.985 0.250
O6 0.215 0.214 0.961
O7 0.785 0.786 0.461
O8 0.215 0.214 0.539
O9 0.715 0.286 0.461
O10 0.785 0.786 0.039
O11 0.073 0.485 0.250
O12 0.285 0.714 0.539
Al1 0.000 0.500 0.000
Al2 0.000 0.500 0.500
Al3 0.500 0.000 0.500
Al4 0.500 0.000 0.000
Gd1 0.009 0.960 0.750
Gd2 0.509 0.540 0.250
Gd3 0.491 0.460 0.750
Gd4 0.991 0.040 0.250

Output
Formation energy in meV per atom: -3616
SG: Pnma (62)

3.
Material: GeBi2Te4
Method: DFT, r²SCAN
State: optimized geometry

Lattice parameters (Å, degrees): 14.486 14.486 14.486 17.31 17.31 17.31
Fractional positions:
Te1 0.706 0.706 0.706
Te2 0.294 0.294 0.294
Te3 0.871 0.871 0.871
Te4 0.129 0.129 0.129
Ge1 0.000 0.000 0.000
Bi1 0.579 0.579 0.579
Bi2 0.421 0.421 0.421

Output
Formation energy in meV per atom: -193
SG: R-3m (166)


He voted against expanding union picketing rights. He opposed gun control and federal funding for abortion. He backed local water projects that environmentalists despised. In short, as a young member of Congress, Al Gore did what might be expected of someone representing a rural, conservative district in Tennessee.

Now, however, as Gore seeks the Democratic presidential nomination, rival Bill Bradley has spotlighted the contrast between the vice president’s congressional voting record and his more liberal pronouncements on the campaign trail. And that has raised a central question that may outlast Bradley’s own flagging campaign: Does Gore’s record reflect the flip-flopping of an ambitious opportunist or the maturation of a public official who has adapted to changing constituencies in changing times?

Gore acknowledges that he cast some votes in Congress he would not cast today. So far, that does not seem to have hurt him politically.


“Most people who enter politics relatively early in life go through a journey,” said Geoff Garin, a Democratic pollster who is neutral in the race. “At some point as they mature, they become more settled personas. At this stage it makes more sense to take Gore for who he is now, and most voters are quite content to do that.”

Still, Gore’s congressional votes provide a reminder that on many issues, ranging from defense to some social issues, Gore was more conservative than the liberal majority that dominated the Democratic Party while he was in Congress. Indeed, he was a founding member of the Democratic Leadership Council, a group of centrists dedicated to pulling their party away from its traditional liberal moorings.

First elected to the House in 1976, Gore represented a district in east Tennessee until he won a seat in the Senate in 1984. He won reelection in 1990, then left the Senate in 1993 after being elected Bill Clinton’s vice president. While his record during those years was generally more conservative than Bradley’s, Gore was never a classic “Boll Weevil” conservative Democrat--the faction that fought their party’s liberal leadership and made common cause with Republicans during the Reagan administration. Even during his House career, Gore was one of the least conservative members of the Tennessee delegation.

This record from the Materials Project describes crystalline Y2TiO5 at its relaxed geometry. The functional is meta-GGA r2SCAN.

Cell: 3.685 10.356 11.250 Å, 90.00 90.00 90.00°
Fractional positions:
Y  0.750  0.864  0.557
Y  0.250  0.136  0.443
Y  0.250  0.615  0.723
Y  0.750  0.885  0.223
Ti  0.250  0.674  0.381
O  0.750  0.776  0.043
Ti  0.250  0.174  0.119
O  0.250  0.006  0.155
O  0.250  0.494  0.895
O  0.750  0.006  0.395
Y  0.750  0.364  0.943
O  0.250  0.256  0.271
O  0.750  0.236  0.117
O  0.250  0.224  0.957
O  0.750  0.244  0.771
O  0.250  0.724  0.543
O  0.750  0.506  0.105
Y  0.250  0.115  0.777
O  0.750  0.736  0.383
Y  0.750  0.385  0.277
O  0.750  0.744  0.729
O  0.250  0.506  0.345
O  0.750  0.994  0.845
Ti  0.750  0.326  0.619
O  0.250  0.764  0.883
Ti  0.750  0.826  0.881
O  0.250  0.994  0.605
O  0.250  0.756  0.229
O  0.750  0.494  0.655
Y  0.250  0.636  0.057
O  0.750  0.276  0.457
O  0.250  0.264  0.617

Results
Theoretical density: 4.729 Mg/m³
SG: Pnma, No. 62
ΔE_f: -3.7532 eV/atom

=====

This record from the Materials Project describes crystalline Y2Ti2O7 at its relaxed geometry. The functional is meta-GGA r2SCAN.

Cell: 7.143 7.143 7.143 Å, 60.00 60.00 60.00°
Fractional positions:
O  0.250  0.250  0.250
O  0.295  0.295  0.705
O  0.955  0.545  0.955
Y  0.125  0.625  0.125
Ti  0.625  0.625  0.125
O  0.705  0.705  0.295
O  0.000  0.000  0.000
O  0.545  0.545  0.955
O  0.295  0.705  0.705
O  0.705  0.295  0.295
Ti  0.625  0.125  0.625
Y  0.125  0.125  0.625
O  0.955  0.955  0.545
O  0.705  0.295  0.705
Y  0.125  0.125  0.125
Y  0.625  0.125  0.125
O  0.955  0.545  0.545
Ti  0.125  0.625  0.625
O  0.295  0.705  0.295
Ti  0.625  0.625  0.625
O  0.545  0.955  0.545
O  0.545  0.955  0.955

Results
Theoretical density: 4.968 Mg/m³
SG: Fd-3m, No. 227
ΔE_f: -3.6561 eV/atom

=====

This record from the Materials Project describes crystalline Yb2TiO5 at its relaxed geometry. The functional is meta-GGA r2SCAN.

Cell: 5.214 6.270 7.446 Å, 67.98 90.02 65.44°
Fractional positions:
O  0.750  0.854  0.957
O  0.028  0.658  0.641
O  0.315  0.658  0.141
O  0.244  0.148  0.042
O  0.396  0.854  0.457
O  0.178  0.998  0.745
O  0.975  0.342  0.354
Yb  0.639  0.722  0.751
Yb  0.371  0.274  0.249
O  0.824  0.998  0.245
Ti  0.988  0.002  0.017
Yb  0.641  0.721  0.251
O  0.609  0.147  0.543
Yb  0.356  0.274  0.749
O  0.683  0.342  0.854
Ti  0.011  0.002  0.517

Results
Relative energy among the computed polymorphs: 0.0022 eV/atom
Theoretical density: 7.802 Mg/m³
SG: Cc, No. 9
ΔE_f: -3.7522 eV/atom

=====

- Look up the theoretical density of the third one.
  7.802 Mg/m³

* * * * *

1.
Computed, not measured: a geometry-optimized YbSi2Os2 structure at the meta-GGA r2SCAN level of DFT.

raw total energy = -32.81 eV per atom
E_form = -76.9 kJ/mol of atoms

Unit cell a=4.1535 b=4.1535 c=9.4744 alpha=90.00 beta=90.00 gamma=90.00
Space group I4/mmm (No. 139)
Asymmetric unit:
Yb: 0.0000 0.0000 0.0000 [2 per cell]
Si: 0.0000 0.0000 0.3720 [4 per cell]


“Is Gore a conservative? Not by any stretch of the imagination,” said Amy Isaacs, national director of the Americans for Democratic Action, a liberal lobbying group. “But that doesn’t make him any raving liberal.”

The ADA’s analysis of Gore’s entire congressional voting record found that he sided with the group on key votes 66% of the time. But on selected issues such as abortion rights and defense policy, he departed from the liberal line more often than that, the analysis found.

Bradley has scored Gore not only for his votes in Congress, but for trying to minimize how much his positions have changed over the years. The former New Jersey senator created a Web site expressly to detail changes in Gore’s voting record. In Wednesday’s debate in Los Angeles, he continued to attack Gore for voting several times from 1979 to 1981 against new regulations for denying tax-exempt status for schools that practiced racial discrimination. Gore has said he opposed the new rules because they would, in effect, apply quotas in deciding whether a school discriminates and rebuffed Bradley’s demand that he repudiate those votes.


On abortion, however, Gore acknowledges that his position has changed over the last two decades. The National Right to Life Committee has calculated that during his House years, Gore voted with its position 84% of the time, including numerous votes to deny federal funding for abortion. But after he went to the Senate, Gore reversed field and voted with the anti-abortion rights group only twice.

During the current campaign, Gore has insisted that he never opposed a woman’s right to an abortion. He says he eventually dropped his opposition to federal abortion funding because he realized that stance meant that poor women often were denied abortion rights. The National Abortion and Reproductive Rights Action League, the leading abortion-rights lobby, has rewarded Gore for his evolution on the issue by endorsing his candidacy.

“He is pro-choice,” said Kate Michelman, president of NARAL. “The fact that he evolved from his time in the House does not make him any less pro-choice today.”

Gore underwent a parallel transformation on gun control. During his House years, Gore received favorable ratings from the National Rifle Assn., casting votes such as one in 1978 to block funding for controversial firearms regulations. Even after he went to the Senate, Gore voted in 1985 for a major bill to relax gun regulations--a bill the NRA called “the most significant pro-gun owners bill of the past quarter century.”

But as a member of the Clinton administration, he supported the 1993 Brady bill establishing a waiting period for handgun purchases, and a 1994 ban on certain semiautomatic weapons. In a particularly dramatic move as vice president, Gore last year cast the tie-breaking vote in the Senate on an amendment requiring background checks on all sales at gun shows (a measure that later failed to pass the House).

Records of crystals, kept here for reference:
........
No. 1
Compound: LiV8F33
Source: the Materials Project database
Functional: PBE with a Hubbard U
Structure: relaxed

Cell lengths 8.8854, 8.8854, 18.4449 Å; angles 90.00, 90.00, 120.00 degrees
With the nearest neighbours (Å) after each atom.
Fractional coordinates of all 84 atoms:
Li 0.3333 0.6667 0.1340  3 F 1.90
Li 0.6667 0.3333 0.6340  3 F 1.90
V 0.0055 0.6733 0.2465  5 F 1.74-1.95
V 0.0036 0.3386 0.8795  3 F 1.75-1.89
V 0.3350 0.9964 0.8795  3 F 1.75-1.89
V 0.0000 0.0000 0.0063  3 F 1.79
V 0.0000 0.0000 0.5063  3 F 1.79
V 0.3333 0.6667 0.6198  3 F 1.77
V 0.3267 0.3322 0.2465  5 F 1.74-1.95
V 0.3322 0.3267 0.7465  5 F 1.74-1.95
V 0.6678 0.9945 0.2465  5 F 1.74-1.95
V 0.6614 0.6650 0.8795  3 F 1.75-1.89
V 0.6650 0.6614 0.3795  3 F 1.75-1.89
V 0.3386 0.0036 0.3795  3 F 1.75-1.89
V 0.6667 0.3333 0.1198  3 F 1.77
V 0.9945 0.6678 0.7465  5 F 1.74-1.95
V 0.6733 0.0055 0.7465  5 F 1.74-1.95
V 0.9964 0.3350 0.3795  3 F 1.75-1.89
F 0.0692 0.8653 0.0506  1 V 1.79
F 0.0696 0.8649 0.1986  1 V 1.74
F 0.1316 0.9291 0.4332  2 V 1.89-2.08
F 0.1420 0.8702 0.8108  2 V 1.97-2.00
F 0.2029 0.7985 0.3116  2 V 1.95-2.04
F 0.0642 0.5397 0.8107  2 V 1.95-2.03
F 0.1268 0.6035 0.1873  1 V 1.85, 1 Li 1.90
F 0.2008 0.7338 0.6924  2 V 1.90-2.06
F 0.2514 0.7967 0.9278  1 V 1.78
F 0.1315 0.5267 0.4265  1 V 1.75
F 0.1326 0.5298 0.5762  1 V 1.77
F 0.3952 0.8685 0.4265  1 V 1.75
F 0.0709 0.2025 0.4332  2 V 1.89-2.08
F 0.3972 0.8674 0.5762  1 V 1.77
F 0.2033 0.4547 0.9278  1 V 1.78
F 0.1298 0.2718 0.8108  2 V 1.97-2.00
F 0.4755 0.9358 0.8107  2 V 1.95-2.03
F 0.2015 0.4045 0.3116  2 V 1.95-2.04
F 0.4767 0.8732 0.1873  1 V 1.85, 1 Li 1.90
F 0.1347 0.2039 0.0506  1 V 1.79
F 0.1351 0.2047 0.1986  1 V 1.74
F 0.2662 0.4670 0.6924  2 V 1.90-2.06
F 0.5330 0.7992 0.6924  2 V 1.90-2.06
F 0.2039 0.1347 0.5506  1 V 1.79
F 0.2047 0.1351 0.6986  1 V 1.74
F 0.3965 0.5233 0.1873  1 V 1.85, 1 Li 1.90
F 0.2025 0.0709 0.9332  2 V 1.89-2.08
F 0.4702 0.6028 0.5762  1 V 1.77
F 0.5453 0.7486 0.9278  1 V 1.78
F 0.4733 0.6048 0.4265  1 V 1.75
F 0.4603 0.5245 0.8107  2 V 1.95-2.03
F 0.5955 0.7971 0.3116  2 V 1.95-2.04
F 0.2718 0.1298 0.3108  2 V 1.97-2.00
F 0.4045 0.2015 0.8116  2 V 1.95-2.04
F 0.7282 0.8580 0.8108  2 V 1.97-2.00
F 0.5245 0.4603 0.3107  2 V 1.95-2.03
F 0.7953 0.9304 0.1986  1 V 1.74
F 0.5233 0.3965 0.6873  1 V 1.85, 1 Li 1.90
F 0.7961 0.9308 0.0506  1 V 1.79
F 0.4670 0.2662 0.1924  2 V 1.90-2.06
F 0.4547 0.2033 0.4278  1 V 1.78
F 0.6048 0.4733 0.9265  1 V 1.75
F 0.6028 0.4702 0.0762  1 V 1.77
F 0.7975 0.8684 0.4332  2 V 1.89-2.08
F 0.5267 0.1315 0.9265  1 V 1.75
F 0.8684 0.7975 0.9332  2 V 1.89-2.08
F 0.5298 0.1326 0.0762  1 V 1.77
F 0.7486 0.5453 0.4278  1 V 1.78
F 0.8580 0.7282 0.3108  2 V 1.97-2.00
F 0.5397 0.0642 0.3107  2 V 1.95-2.03
F 0.7971 0.5955 0.8116  2 V 1.95-2.04
F 0.6035 0.1268 0.6873  1 V 1.85, 1 Li 1.90
F 0.9308 0.7961 0.5506  1 V 1.79
F 0.9304 0.7953 0.6986  1 V 1.74
F 0.7992 0.5330 0.1924  2 V 1.90-2.06
F 0.7338 0.2008 0.1924  2 V 1.90-2.06
........

Gore says his turnaround reflected his response to the rise of gun violence over the last decade--and the fact that he was representing a broader, more diverse constituency. “When I represented a rural farm district in the House of Representatives, there wasn’t a problem perceived by my constituents,” he said recently.


His changed position on guns has earned him the scorn of the NRA. In a critique on its Web site, the group said, “Al Gore is the Janus of the firearms ownership debate in America because, like the god of Roman mythology, he has shown two distinct faces.”

On labor issues, Gore’s record shifted more subtly. His first big labor vote in 1977 was against a bill to expand unions’ right to picket at construction sites, contributing to a surprising defeat for organized labor. But by the time he went to the Senate, Gore voted more consistently with labor and he won the AFL-CIO’s endorsement for his White House quest.

Gore’s position has also evolved on tobacco. While he represented a district and state with many tobacco growers, Gore voted consistently to continue tobacco price supports and opposed a ban on tobacco advertising. But as part of the Clinton administration, he has been one of its most vociferous anti-tobacco critics.

On the environment, Gore’s congressional record was surprisingly mixed in light of his embrace of the issue in the early 1990s when he wrote “Earth in the Balance: Ecology and the Human Spirit,” a book promoting an aggressive environmentalist agenda. His voting record was scored as low as 35% by the League of Conservation Voters while he was in the House. That was mostly because he repeatedly supported public works bills--especially some controversial projects in Tennessee--that environmentalists opposed.

But he won support of environmentalists for his legislative accomplishments on broader issues. For instance, he helped Rep. Henry A. Waxman (D-Los Angeles) and other environmentalists fend off attacks on the Clean Air Act while he was in the House, and added some key amendments to strengthen the law when he was in the Senate.

Gore has consistently staked out a more conservative position than many in his party on defense and foreign policy--subjects he made a central part of his legislative career by becoming one of Congress’ experts on nuclear weapons strategy and arms control. When most Democrats were fighting deployment of the MX missile during the Reagan years, Gore supported its limited deployment in exchange for new arms control efforts and a commitment to an alternative missile. In 1991, Gore was one of 10 Democrats in the Senate to vote for the use of force in the Persian Gulf.


It was on defense issues, in particular, that Gore contributed to the effort by centrists to reposition the Democratic Party in the 1980s. “His political insight was that Democrats had to reassure the American people that they could be trusted to manage the country’s security,” said Will Marshall, head of the research arm of the Democratic Leadership Council.
